== What to do ==
Set down the lines further down from the first line to the one with "32.71" without altering anything.

== Input ==
=====
1.
Structure and computed PXRD pattern of Y2Ho3Er8 (a structure optimized by DFT (GGA-PBE); λ = 1.5418 Å (Cu Kα)).
Lines closer than 0.1° are merged.

Structural model:
Lattice parameters (Å, degrees): 11.894 11.894 11.894 153.01 147.09 43.07
Fractional coordinates of all 13 atoms:
Y 0.223 0.223 0.000
Y 0.777 0.777 0.000
Ho 0.236 0.500 0.736
Ho 0.500 0.000 0.500
Ho 0.764 0.500 0.264
Er 0.075 0.075 0.000
Er 0.087 0.349 0.739
Er 0.318 0.818 0.500
Er 0.390 0.651 0.739
Er 0.610 0.349 0.261
Er 0.682 0.182 0.500
Er 0.913 0.651 0.261
Er 0.925 0.925 0.000

Peak list (10 most intense, 10° ≤ 2θ ≤ 90°, by intensity)
- 2θ 31.31, rel. 100
- 2θ 32.25, rel. 48
- 2θ 32.02, rel. 42
- 2θ 32.60, rel. 41
- 2θ 24.10, rel. 34
- 2θ 40.66, rel. 18
- 2θ 56.92, rel. 17
- 2θ 37.24, rel. 16
- 2θ 49.20, rel. 14
- 2θ 63.48, rel. 13

2.
Structure and computed PXRD pattern of Sm4Dy5Y (a structure optimized by DFT (GGA-PBE); λ = 1.5418 Å (Cu Kα)).
Lines closer than 0.1° are merged.

Structural model:
Lattice parameters (Å, degrees): 8.097 8.097 8.097 97.76 97.76 136.89
Fractional coordinates of all 10 atoms:
Sm 0.000 0.324 0.324
Sm 0.000 0.676 0.676
Sm 0.324 0.000 0.324
Sm 0.676 0.000 0.676
Dy 0.315 0.315 0.621
Dy 0.315 0.693 0.000
Dy 0.693 0.315 0.000
Dy 0.693 0.693 0.379
Dy 0.762 0.762 0.000
Y 0.235 0.235 0.000

Peak list (10 most intense, 10° ≤ 2θ ≤ 90°, by intensity)
- 2θ 29.30, rel. 100
- 2θ 35.77, rel. 39
- 2θ 60.34, rel. 17
- 2θ 52.89, rel. 17
- 2θ 30.04, rel. 16
- 2θ 34.54, rel. 16
- 2θ 47.39, rel. 14
- 2θ 51.49, rel. 11
- 2θ 32.36, rel. 10
- 2θ 59.38, rel. 10

* * * * *

For MgPt2, a structure optimized by DFT (GGA-PBE) gives the computed powder X-ray diffraction pattern in this record (Cu Kα (weighted mean of Kα1 and Kα2)).
Lines closer than 0.1° are merged.

a b c (Å): 5.361 5.361 6.620
angles (deg): 103.63 103.63 31.13
Fractional coordinates of all 6 atoms:
Mg (0.000, 0.000, 0.000)
Mg (0.693, 0.693, 0.368)
Pt (0.066, 0.066, 0.624)
Pt (0.342, 0.342, 0.684)
Pt (0.410, 0.410, 0.285)
Pt (0.722, 0.722, 0.971)

Principal peaks in the range 10° ≤ 2θ ≤ 90°, in order of rising 2θ:
- d = 6.419 Å, 13.80 deg, rel. 30
- d = 4.521 Å, 19.64 deg, rel. 62
- d = 2.480 Å, 36.23 deg, rel. 65
- d = 2.444 Å, 36.77 deg, rel. 32
- d = 2.260 Å, 39.88 deg, rel. 63
- d = 2.179 Å, 41.43 deg, rel. 93
- d = 2.169 Å, 41.64 deg, rel. 100
- d = 2.160 Å, 41.81 deg, rel. 46
- d = 2.140 Å, 42.24 deg, rel. 44
- d = 1.418 Å, 65.88 deg, rel. 30

* * * * *

(1)
For Ac3Hg4, a DFT-relaxed cell (PBE, OQMD) gives the computed powder diffractogram in this record (a wavelength of 1.5418 Å).
Neutral-atom scattering factors, no anomalous dispersion.

Atomic structure:
Cell lengths 8.981, 8.981, 8.981 Å; angles 113.84, 113.84, 113.84 degrees
Positions (direct):
Ac  0.009  0.270  0.397
Ac  0.270  0.397  0.009
Ac  0.397  0.009  0.270
Ac  0.603  0.991  0.730
Ac  0.730  0.603  0.991
Ac  0.991  0.730  0.603
Hg  0.000  0.000  0.000
Hg  0.082  0.559  0.237
Hg  0.237  0.082  0.559
Hg  0.441  0.763  0.918
Hg  0.500  0.500  0.500
Hg  0.559  0.237  0.082
Hg  0.763  0.918  0.441
Hg  0.918  0.441  0.763

Principal peaks in the range 15° ≤ 2θ ≤ 90°, sorted by position:
| 2θ (°) | d (Å) | I/Imax |
| --- | --- | --- |
| 27.94 | 3.193 | 18 |
| 31.45 | 2.844 | 100 |
| 31.95 | 2.801 | 85 |
| 32.71 | 2.738 | 9 |
| 36.24 | 2.479 | 12 |
| 45.45 | 1.996 | 24 |
| 56.00 | 1.642 | 11 |
| 56.31 | 1.634 | 19 |


(2)
For BeFe2As, a DFT-relaxed cell (PBE, OQMD) gives the computed powder diffractogram in this record (a wavelength of 1.5418 Å).
Neutral-atom scattering factors, no anomalous dispersion.

Atomic structure:
Cell lengths 5.523, 5.523, 5.523 Å; angles 90.00, 90.00, 90.00 degrees
Positions (direct):
Be  0.000  0.000  0.000
Be  0.000  0.000  0.500
Be  0.000  0.500  0.000
Be  0.500  0.000  0.000
Fe  0.246  0.246  0.246
Fe  0.246  0.246  0.754
Fe  0.246  0.754  0.246
Fe  0.246  0.754  0.754
Fe  0.754  0.246  0.246
Fe  0.754  0.246  0.754
Fe  0.754  0.754  0.246
Fe  0.754  0.754  0.754
As  0.000  0.500  0.500
=====

== Result ==
1.
Structure and computed PXRD pattern of Y2Ho3Er8 (a structure optimized by DFT (GGA-PBE); λ = 1.5418 Å (Cu Kα)).
Lines closer than 0.1° are merged.

Structural model:
Lattice parameters (Å, degrees): 11.894 11.894 11.894 153.01 147.09 43.07
Fractional coordinates of all 13 atoms:
Y 0.223 0.223 0.000
Y 0.777 0.777 0.000
Ho 0.236 0.500 0.736
Ho 0.500 0.000 0.500
Ho 0.764 0.500 0.264
Er 0.075 0.075 0.000
Er 0.087 0.349 0.739
Er 0.318 0.818 0.500
Er 0.390 0.651 0.739
Er 0.610 0.349 0.261
Er 0.682 0.182 0.500
Er 0.913 0.651 0.261
Er 0.925 0.925 0.000

Peak list (10 most intense, 10° ≤ 2θ ≤ 90°, by intensity)
- 2θ 31.31, rel. 100
- 2θ 32.25, rel. 48
- 2θ 32.02, rel. 42
- 2θ 32.60, rel. 41
- 2θ 24.10, rel. 34
- 2θ 40.66, rel. 18
- 2θ 56.92, rel. 17
- 2θ 37.24, rel. 16
- 2θ 49.20, rel. 14
- 2θ 63.48, rel. 13

2.
Structure and computed PXRD pattern of Sm4Dy5Y (a structure optimized by DFT (GGA-PBE); λ = 1.5418 Å (Cu Kα)).
Lines closer than 0.1° are merged.

Structural model:
Lattice parameters (Å, degrees): 8.097 8.097 8.097 97.76 97.76 136.89
Fractional coordinates of all 10 atoms:
Sm 0.000 0.324 0.324
Sm 0.000 0.676 0.676
Sm 0.324 0.000 0.324
Sm 0.676 0.000 0.676
Dy 0.315 0.315 0.621
Dy 0.315 0.693 0.000
Dy 0.693 0.315 0.000
Dy 0.693 0.693 0.379
Dy 0.762 0.762 0.000
Y 0.235 0.235 0.000

Peak list (10 most intense, 10° ≤ 2θ ≤ 90°, by intensity)
- 2θ 29.30, rel. 100
- 2θ 35.77, rel. 39
- 2θ 60.34, rel. 17
- 2θ 52.89, rel. 17
- 2θ 30.04, rel. 16
- 2θ 34.54, rel. 16
- 2θ 47.39, rel. 14
- 2θ 51.49, rel. 11
- 2θ 32.36, rel. 10
- 2θ 59.38, rel. 10

* * * * *

For MgPt2, a structure optimized by DFT (GGA-PBE) gives the computed powder X-ray diffraction pattern in this record (Cu Kα (weighted mean of Kα1 and Kα2)).
Lines closer than 0.1° are merged.

a b c (Å): 5.361 5.361 6.620
angles (deg): 103.63 103.63 31.13
Fractional coordinates of all 6 atoms:
Mg (0.000, 0.000, 0.000)
Mg (0.693, 0.693, 0.368)
Pt (0.066, 0.066, 0.624)
Pt (0.342, 0.342, 0.684)
Pt (0.410, 0.410, 0.285)
Pt (0.722, 0.722, 0.971)

Principal peaks in the range 10° ≤ 2θ ≤ 90°, in order of rising 2θ:
- d = 6.419 Å, 13.80 deg, rel. 30
- d = 4.521 Å, 19.64 deg, rel. 62
- d = 2.480 Å, 36.23 deg, rel. 65
- d = 2.444 Å, 36.77 deg, rel. 32
- d = 2.260 Å, 39.88 deg, rel. 63
- d = 2.179 Å, 41.43 deg, rel. 93
- d = 2.169 Å, 41.64 deg, rel. 100
- d = 2.160 Å, 41.81 deg, rel. 46
- d = 2.140 Å, 42.24 deg, rel. 44
- d = 1.418 Å, 65.88 deg, rel. 30

* * * * *

(1)
For Ac3Hg4, a DFT-relaxed cell (PBE, OQMD) gives the computed powder diffractogram in this record (a wavelength of 1.5418 Å).
Neutral-atom scattering factors, no anomalous dispersion.

Atomic structure:
Cell lengths 8.981, 8.981, 8.981 Å; angles 113.84, 113.84, 113.84 degrees
Positions (direct):
Ac  0.009  0.270  0.397
Ac  0.270  0.397  0.009
Ac  0.397  0.009  0.270
Ac  0.603  0.991  0.730
Ac  0.730  0.603  0.991
Ac  0.991  0.730  0.603
Hg  0.000  0.000  0.000
Hg  0.082  0.559  0.237
Hg  0.237  0.082  0.559
Hg  0.441  0.763  0.918
Hg  0.500  0.500  0.500
Hg  0.559  0.237  0.082
Hg  0.763  0.918  0.441
Hg  0.918  0.441  0.763

Principal peaks in the range 15° ≤ 2θ ≤ 90°, sorted by position:
| 2θ (°) | d (Å) | I/Imax |
| --- | --- | --- |
| 27.94 | 3.193 | 18 |
| 31.45 | 2.844 | 100 |
| 31.95 | 2.801 | 85 |
| 32.71 | 2.738 | 9 |